Entries.
+++
Material: Li2MnSiO4
Method: DFT, PBE+U
State: relaxed

abc: 10.6156 5.4527 13.1873
angles: 90.00 90.00 90.00
Last column: nearest neighbours and their distance in Å.
Atoms (fractional coordinates):
Li1 0.0280 0.0310 0.0000  4 O 2.01-2.06
Li2 0.0472 0.5387 0.6181  4 O 1.98-2.12
Li3 0.2075 0.8510 0.8585  3 O 1.92-2.10
Li4 0.2126 0.3678 0.7603  4 O 1.96-2.07
Li5 0.2874 0.3678 0.2603  4 O 1.96-2.07
Li6 0.2925 0.8510 0.3585  3 O 1.92-2.10
Li7 0.4528 0.5387 0.1181  4 O 1.98-2.12
Li8 0.4720 0.0310 0.5000  4 O 2.01-2.06
Li9 0.5280 0.9690 0.0000  4 O 2.01-2.06
Li10 0.5472 0.4613 0.6181  4 O 1.98-2.12
Li11 0.7075 0.1490 0.8585  3 O 1.92-2.10
Li12 0.7126 0.6322 0.7603  4 O 1.96-2.07
Li13 0.7874 0.6322 0.2603  4 O 1.96-2.07
Li14 0.7925 0.1490 0.3585  3 O 1.92-2.10
Li15 0.9528 0.4613 0.1181  4 O 1.98-2.12
Li16 0.9720 0.9690 0.5000  4 O 2.01-2.06
Mn1 0.0358 0.9688 0.2481  4 O 2.07-2.09
Mn2 0.2064 0.5177 0.0038  4 O 2.00-2.11
Mn3 0.2936 0.5177 0.5038  4 O 2.00-2.11
Mn4 0.4642 0.9688 0.7481  4 O 2.07-2.09
Mn5 0.5358 0.0312 0.2481  4 O 2.07-2.09
Mn6 0.7064 0.4823 0.0038  4 O 2.00-2.11
Mn7 0.7936 0.4823 0.5038  4 O 2.00-2.11
Mn8 0.9642 0.0312 0.7481  4 O 2.07-2.09
Si1 0.0351 0.4781 0.3704  4 O 1.66
Si2 0.2109 0.0243 0.6236  4 O 1.64-1.66
Si3 0.2891 0.0243 0.1236  4 O 1.64-1.66
Si4 0.4649 0.4781 0.8704  4 O 1.66
Si5 0.5351 0.5219 0.3704  4 O 1.66
Si6 0.7109 0.9757 0.6236  4 O 1.64-1.66
Si7 0.7891 0.9757 0.1236  4 O 1.64-1.66
Si8 0.9649 0.5219 0.8704  4 O 1.66
O1 0.0109 0.8133 0.8727  1 Si 1.66
O2 0.0230 0.3945 0.7660  1 Si 1.66
O3 0.0273 0.3930 0.9725  1 Si 1.66
O4 0.0703 0.8981 0.6270  1 Si 1.64
O5 0.1901 0.5248 0.3687  1 Si 1.66
O6 0.1955 0.3221 0.6050  1 Si 1.65
O7 0.1982 0.8948 0.0373  1 Si 1.65
O8 0.2288 0.0124 0.2400  1 Si 1.66
O9 0.2712 0.0124 0.7400  1 Si 1.66
O10 0.3018 0.8948 0.5373  1 Si 1.65
O11 0.3045 0.3221 0.1050  1 Si 1.65
O12 0.3099 0.5248 0.8687  1 Si 1.66
O13 0.4297 0.8981 0.1270  1 Si 1.64
O14 0.4727 0.3930 0.4725  1 Si 1.66
O15 0.4770 0.3945 0.2660  1 Si 1.66
O16 0.4891 0.8133 0.3727  1 Si 1.66
O17 0.5109 0.1867 0.8727  1 Si 1.66
O18 0.5230 0.6055 0.7660  1 Si 1.66
O19 0.5273 0.6070 0.9725  1 Si 1.66
O20 0.5703 0.1019 0.6270  1 Si 1.64
O21 0.6901 0.4752 0.3687  1 Si 1.66
O22 0.6955 0.6779 0.6050  1 Si 1.65
O23 0.6982 0.1052 0.0373  1 Si 1.65
O24 0.7288 0.9876 0.2400  1 Si 1.66
O25 0.7712 0.9876 0.7400  1 Si 1.66
O26 0.8018 0.1052 0.5373  1 Si 1.65
O27 0.8045 0.6779 0.1050  1 Si 1.65
O28 0.8099 0.4752 0.8687  1 Si 1.66
O29 0.9297 0.1019 0.1270  1 Si 1.64
O30 0.9727 0.6070 0.4725  1 Si 1.66
O31 0.9770 0.6055 0.2660  1 Si 1.66
O32 0.9891 0.1867 0.3727  1 Si 1.66

Summary:
The final energy is -6.86 eV per atom. The energy above the most stable polymorph in this dataset is 0.055 eV per atom. The space group is Pca2_1, No. 29. Its energy with MP2020 corrections is -474.25 eV/cell. The value obtained for the formation energy is -21.08 eV/f.u.



Material: MgCr3S6O24
Method: DFT, PBE+U
State: relaxed

abc: 8.3368 8.3670 8.9953
angles: 62.36 63.15 60.36
Last column: nearest neighbours and their distance in Å.
Atoms (fractional coordinates):
Mg1 0.0000 0.0000 0.0000  4 O 1.93-2.15
Cr1 0.1762 0.5123 0.3007  6 O 1.99-2.07
Cr2 0.4679 0.8012 0.4241  6 O 1.96-2.02
Cr3 0.6750 0.0116 0.8136  6 O 2.00-2.07
S1 0.0723 0.1118 0.6019  4 O 1.47-1.49
S2 0.3029 0.8938 0.1077  4 O 1.46-1.54
S3 0.3658 0.4088 0.6073  4 O 1.46-1.51
S4 0.5474 0.1998 0.1168  4 O 1.47-1.50
S5 0.7898 0.7036 0.6030  4 O 1.45-1.51
S6 0.8605 0.6423 0.1100  4 O 1.42-1.57
O1 0.0572 0.5521 0.1321  1 S 1.49
O2 0.1069 0.2759 0.4460  1 S 1.47
O3 0.1096 0.1065 0.7497  1 S 1.47
O4 0.1586 0.0873 0.0627  1 S 1.46
O5 0.1795 0.4617 0.7361  1 S 1.46
O6 0.1972 0.9247 0.5638  1 S 1.49
O7 0.2165 0.7639 0.1143  1 S 1.54
O8 0.3253 0.8246 0.2826  1 S 1.47
O9 0.3504 0.4385 0.4367  1 S 1.49
O10 0.4225 0.3960 0.1300  1 S 1.47
O11 0.4675 0.5349 0.5747  1 S 1.51
O12 0.4705 0.0619 0.2791  1 S 1.48
O13 0.4922 0.8671 0.9714  1 S 1.48
O14 0.4942 0.2036 0.6633  1 S 1.49
O15 0.5371 0.1910 0.9591  1 S 1.50
+++
Exercise.
Find "0.1901 0.5248" and "Summary:" in the entries above, and duplicate these two lines and those between.
Reply.
O5 0.1901 0.5248 0.3687  1 Si 1.66
O6 0.1955 0.3221 0.6050  1 Si 1.65
O7 0.1982 0.8948 0.0373  1 Si 1.65
O8 0.2288 0.0124 0.2400  1 Si 1.66
O9 0.2712 0.0124 0.7400  1 Si 1.66
O10 0.3018 0.8948 0.5373  1 Si 1.65
O11 0.3045 0.3221 0.1050  1 Si 1.65
O12 0.3099 0.5248 0.8687  1 Si 1.66
O13 0.4297 0.8981 0.1270  1 Si 1.64
O14 0.4727 0.3930 0.4725  1 Si 1.66
O15 0.4770 0.3945 0.2660  1 Si 1.66
O16 0.4891 0.8133 0.3727  1 Si 1.66
O17 0.5109 0.1867 0.8727  1 Si 1.66
O18 0.5230 0.6055 0.7660  1 Si 1.66
O19 0.5273 0.6070 0.9725  1 Si 1.66
O20 0.5703 0.1019 0.6270  1 Si 1.64
O21 0.6901 0.4752 0.3687  1 Si 1.66
O22 0.6955 0.6779 0.6050  1 Si 1.65
O23 0.6982 0.1052 0.0373  1 Si 1.65
O24 0.7288 0.9876 0.2400  1 Si 1.66
O25 0.7712 0.9876 0.7400  1 Si 1.66
O26 0.8018 0.1052 0.5373  1 Si 1.65
O27 0.8045 0.6779 0.1050  1 Si 1.65
O28 0.8099 0.4752 0.8687  1 Si 1.66
O29 0.9297 0.1019 0.1270  1 Si 1.64
O30 0.9727 0.6070 0.4725  1 Si 1.66
O31 0.9770 0.6055 0.2660  1 Si 1.66
O32 0.9891 0.1867 0.3727  1 Si 1.66

Summary: